


What makes people happy?

Monday October 5, 2015

These materials data were left in the entry by mistake:
<<<
## ZnNiSN2 (PBE-GGA)

Data for a geometry-optimized ZnNiSN2 structure.

```
ZnNiSN2
1.0
3.470 0.000 0.000
0.000 3.470 0.000
0.000 0.000 7.661
Zn Ni S N
1 1 1 2
Cartesian
0.000 0.000 0.000 Zn
1.735 1.735 3.830 Ni
1.735 1.735 0.000 S
0.000 1.735 3.830 N
1.735 0.000 3.830 N
```

Output
**Spin magnetization**: 0.23 μB per cell
**ΔE_f (raw)**: 0.9896 eV/atom

---

## Mg14ZnCo (PBE-GGA)

Data for a geometry-optimized Mg14ZnCo structure.

```
Mg14ZnCo
1.0
6.193 0.000 0.000
-3.096 5.363 0.000
0.000 0.000 10.031
Mg Zn Co
14 1 1
Cartesian
0.000 0.000 2.489 Mg
0.000 0.000 7.542 Mg
-1.490 2.715 2.608 Mg
-1.490 2.715 7.423 Mg
1.534 0.886 5.015 Mg
1.557 0.899 0.000 Mg
1.490 2.715 2.608 Mg
1.490 2.715 7.423 Mg
0.000 5.296 2.608 Mg
0.000 5.296 7.423 Mg
4.636 0.899 0.000 Mg
3.096 3.565 0.000 Mg
4.659 0.886 5.015 Mg
3.096 3.592 5.015 Mg
0.000 3.575 0.000 Zn
0.000 3.575 5.015 Co
```

Output
**Energy**: -1.872 eV per atom
**Spin magnetization**: 0.87 μB per cell

---

## BaZrP2 (PBE-GGA)

Data for a geometry-optimized BaZrP2 structure.

```
BaZrP2
1.0
-3.685 3.685 4.523
3.685 -3.685 4.523
3.685 3.685 -4.523
Ba Zr P
2 2 4
Cartesian
0.000 0.000 0.000 Ba
0.000 3.685 2.261 Ba
3.685 0.000 2.261 Zr
0.000 0.000 4.523 Zr
1.842 2.377 -1.131 P
4.992 1.842 1.131 P
1.842 1.308 3.392 P
-1.308 1.842 5.653 P
```

Output
**Energy**: -6.229 eV per atom
**Spin magnetization**: 0.00 μB per cell

---

## NbAs3S (PBE-GGA)

Data for a geometry-optimized NbAs3S structure.

```
NbAs3S
1.0
4.974 0.000 0.000
0.000 4.974 0.000
0.000 0.000 4.974
Nb As S
1 3 1
Cartesian
0.000 0.000 0.000 Nb
0.000 0.000 2.487 As
0.000 2.487 0.000 As
2.487 0.000 0.000 As
2.487 2.487 2.487 S
```

Output
**Spin magnetization**: 0.17 μB per cell
**ΔE_f (raw)**: 0.5429 eV/atom

---

Which of these has the highest spin magnetization? Mg14ZnCo

* * * * *

VASP calculation (GGA-PBE) on NbHg3F after structural relaxation.

The energy above the most stable polymorph in this dataset is 0.078 eV per atom. As for the total energy: -2.113 eV/atom. The calculated volume is 35.3 Å³/atom. Its formation energy without anion corrections is 456 meV/atom.

abc: 5.612 5.612 5.612
angles: 90.00 90.00 90.00
Positions (direct):
Hg 0.500 0.000 0.000
F 0.500 0.500 0.500
Hg 0.000 0.500 0.000
Nb 0.000 0.000 0.000
Hg 0.000 0.000 0.500



VASP calculation (GGA-PBE) on ZnCu2Si2 after structural relaxation.

The energy above the most stable polymorph in this dataset is 0.018 eV per atom. As for the total energy: -3.884 eV/atom. The calculated volume is 14.3 Å³/atom. Its formation energy without anion corrections is 178 meV/atom.

abc: 7.592 7.592 2.489
angles: 90.00 90.00 90.00
Positions (direct):
Cu 0.661 0.839 0.500
Cu 0.339 0.161 0.500
Zn 0.000 0.000 0.000
Si 0.364 0.864 0.000
Zn 0.500 0.500 0.000
Si 0.136 0.364 0.000
Si 0.864 0.636 0.000
Si 0.636 0.136 0.000
Cu 0.839 0.339 0.500
Cu 0.161 0.661 0.500



VASP calculation (GGA-PBE) on PuBeHO5 after structural relaxation.
>>>


What makes you happy?

== Next to the text, the page also holds records of crystals ==
The following is a GGA+U calculation of a relaxed PaZnCr2O6 crystal, from Alexandria.

```
PaZnCr2O6
1.0
5.2405 0.0000 0.0000
2.6054 4.8333 0.0000
0.0527 2.8635 4.8328
Pa Zn Cr O
1 1 2 6
Cartesian
0.0000 0.0000 0.0000
5.3141 6.1742 2.4767
2.6510 4.5708 4.2011
5.2449 3.1048 1.8592
1.6443 3.0272 0.6995
3.4319 6.5115 3.1426
4.4861 4.7365 0.9869
3.7053 3.0243 3.2570
4.1529 1.7051 0.8505
6.0784 4.3878 3.2294
```

Properties
DFT total energy (eV/atom): -7.8144
SG: P1

~~~~~

Material: ZrPbSe3
Method: DFT, PBE
State: relaxed

Computed properties:
raw formation energy	-688	meV per atom
final energy	-5.23	eV per atom
space-group type	No. 221

Lattice parameters (Å, degrees): 5.242 5.242 5.242 90.00 90.00 90.00
Fractional coordinates of all 5 atoms:
1 Pb 0.500 0.500 0.500
2 Se 0.000 0.500 0.000
3 Se 0.500 0.000 0.000
4 Se 0.000 0.000 0.500
5 Zr 0.000 0.000 0.000

=====

Material: ZrPbSe2
Method: DFT, PBE
State: relaxed

Computed properties:
raw formation energy	-771	meV per atom
final energy	-5.58	eV per atom
space-group type	No. 11

Lattice parameters (Å, degrees): 23.718 4.745 9.104 90.00 156.72 90.00
Fractional coordinates of all 16 atoms:
1 Pb 0.081 0.250 0.846
2 Se 0.722 0.750 0.403
3 Se 0.473 0.750 0.264
4 Se 0.527 0.250 0.736
5 Pb 0.581 0.250 0.346
6 Se 0.222 0.750 0.903
7 Se 0.027 0.250 0.236
8 Pb 0.419 0.750 0.654
9 Se 0.973 0.750 0.764
10 Zr 0.675 0.750 0.989
11 Se 0.778 0.250 0.097
12 Se 0.278 0.250 0.597
13 Zr 0.825 0.250 0.511
14 Zr 0.325 0.250 0.011
15 Pb 0.919 0.750 0.154
16 Zr 0.175 0.750 0.489

=====

Material: ZrPbSe2
Method: DFT, PBE
State: relaxed

Computed properties:
raw formation energy	-714	meV per atom
final energy	-5.52	eV per atom
space-group type	No. 33

Lattice parameters (Å, degrees): 6.877 8.416 6.837 90.00 90.00 90.00
Fractional coordinates of all 16 atoms:
1 Zr 0.338 0.381 0.402
2 Pb 0.907 0.536 0.486
3 Se 0.130 0.199 0.673
4 Se 0.370 0.699 0.173
5 Se 0.870 0.801 0.173
6 Zr 0.162 0.881 0.902
7 Pb 0.407 0.964 0.486
8 Pb 0.093 0.464 0.986
9 Se 0.831 0.873 0.688
10 Pb 0.593 0.036 0.986
11 Zr 0.662 0.619 0.902
12 Se 0.669 0.373 0.188
13 Zr 0.838 0.119 0.402
14 Se 0.630 0.301 0.673
15 Se 0.331 0.627 0.688
16 Se 0.169 0.127 0.188

=====

Material: ZrPbSe2
Method: DFT, PBE
State: relaxed

Computed properties:
raw formation energy	-575	meV per atom
final energy	-5.38	eV per atom
space-group type	No. 156

Lattice parameters (Å, degrees): 3.839 3.839 9.107 90.00 90.00 120.00
Each line ends with the local moment (μB).
Fractional coordinates of all 4 atoms:
1 Se 0.667 0.333 0.299  0.00
2 Zr 0.333 0.667 0.461  0.46
3 Se 0.333 0.667 0.743  -0.01
4 Pb 0.000 0.000 0.953  0.02

=====

Material: ZrPbSe2
Method: DFT, PBE
State: relaxed

Computed properties:
raw formation energy	-571	meV per atom
final energy	-5.38	eV per atom
space-group type	No. 63

Lattice parameters (Å, degrees): 11.197 11.197 5.220 90.00 90.00 160.63
Fractional coordinates of all 8 atoms:
1 Se 0.066 0.934 0.750
2 Zr 0.944 0.056 0.750
3 Se 0.180 0.820 0.250

You will never be happy as long as you spend your life focusing on yourself. We have been lead to believe that we can exercise, acquire, or achieve our way to happiness and this is a problem. We tend to think: if physically I look the right way, if I own the right stuff or if I achieve the right things, then I will be happy. What is funny is that we look at others and say to ourselves, if only I looked like that, if only I could have the things they have or achieve what they have achieved then I will be happy. This does not necessarily mean that when we look at others we desire to be like them. What happens is when we look at and admire others we desire to have their looks, wealth, and achievements because we think that this selfish combination will bring us happiness. What is amusing here is that often times the people we admire and wish to copy are not happy. Self-centeredness will never lead to happiness.


The road to happiness is counterintuitive.

 If we were to consider the numerous studies concerning happiness, we would see that year after year, the road to happiness is not a mystery. The road to happiness is in fact counterintuitive because it removes the focus from oneself and places it on others. We can never exercise, achieve, or acquire our way to happiness but we can certainly serve our way to happiness. The United Kingdom analyzed forty different studies that had taken place over the course of twenty years. The primary focus of the studies was the connection between volunteerism (serving others) and health and happiness. This in-depth analysis concluded that people who volunteered (served others) suffered less from depression, heath disease, stress, substance abuse, and unplanned pregnancies when compared to those who did not serve. The study also concluded that those who served others had greater psychological and physical health, more self-esteem, and longevity as well as quality of life. To sum it up, people consumed with volunteering as opposed to   consumed with their own selves were happy.

If what you want to be is happy, then the best thing you can do for yourself is to stop focusing so much on yourself and instead place greater emphasis on serving others. Perhaps this is the reason the Apostle Paul in the second chapter of his letter to the Philippians said that we should relate to each other the same way Jesus did, by voluntarily choosing to serve others. Jesus did this despite the fact that He was God. This may also be the reason why Jesus told His followers:

For whoever wants to save their life will lose it, but whoever loses their life for me will find it. – Matthew 16:25 NIV

Heavenly Father it’s because you want to be happy  that you ask me to serve others, because you know that selfishness will never lead me to happiness. Help me to be the selfless person that Jesus modeled for us.